Exercise:
Now restate all of the rows further down character by character.
Data:
-- begin --
For CaPd12, a DFT-relaxed cell (PBE, Alexandria) gives the calculated powder diffraction line list in this record (CuKα).
Kinematic intensities with the Lorentz-polarization factor, no thermal factor.

```
CaPd12
1.0
0.000 5.367 5.367
5.367 0.000 5.367
5.367 5.367 0.000
Ca Pd
1 12
direct
0.000 0.000 0.000 Ca
0.162 0.500 0.500 Pd
0.162 0.500 0.838 Pd
0.162 0.838 0.500 Pd
0.500 0.162 0.500 Pd
0.500 0.162 0.838 Pd
0.500 0.500 0.162 Pd
0.500 0.500 0.838 Pd
0.500 0.838 0.162 Pd
0.500 0.838 0.500 Pd
0.838 0.162 0.500 Pd
0.838 0.500 0.162 Pd
0.838 0.500 0.500 Pd
```

Most intense lines, 15° ≤ 2θ ≤ 90°, by angle:
- 2θ = 23.44°, intensity 38
- 2θ = 27.56°, intensity 76
- 2θ = 28.81°, intensity 28
- 2θ = 41.20°, intensity 26
- 2θ = 43.83°, intensity 100
- 2θ = 50.29°, intensity 31
- 2θ = 51.05°, intensity 57
- 2θ = 75.10°, intensity 34

***

For Tl2AgPbBr5, a DFT-relaxed cell (PBE, Alexandria) gives the calculated powder diffraction line list in this record (CuKα).
Kinematic intensities with the Lorentz-polarization factor, no thermal factor.

```
Tl2AgPbBr5
1.0
2.243 -9.714 0.000
2.243 9.714 0.000
0.000 0.000 14.301
Tl Ag Pb Br
4 2 2 10
direct
0.099 0.901 0.500 Tl
0.128 0.872 0.142 Tl
0.872 0.128 0.642 Tl
0.901 0.099 0.000 Tl
0.456 0.544 0.265 Ag
0.544 0.456 0.765 Ag
0.209 0.791 0.846 Pb
0.791 0.209 0.346 Pb
0.048 0.952 0.869 Br
0.283 0.717 0.493 Br
0.308 0.692 0.200 Br
0.362 0.638 0.826 Br
0.493 0.507 0.594 Br
0.507 0.493 0.094 Br
0.638 0.362 0.326 Br
0.692 0.308 0.700 Br
0.717 0.283 0.993 Br
0.952 0.048 0.369 Br
```

Most intense lines, 15° ≤ 2θ ≤ 90°, by angle:
- 2θ = 20.76°, intensity 33
- 2θ = 23.86°, intensity 17
- 2θ = 27.69°, intensity 100
- 2θ = 28.26°, intensity 51
- 2θ = 32.97°, intensity 41
- 2θ = 40.22°, intensity 41
- 2θ = 49.87°, intensity 21
- 2θ = 62.17°, intensity 14

***

For Ac5Tl2Ru2, a DFT-relaxed cell (PBE, Alexandria) gives the calculated powder diffraction line list in this record (CuKα).
Kinematic intensities with the Lorentz-polarization factor, no thermal factor.

```
Ac5Tl2Ru2
1.0
8.715 -4.091 0.000
8.715 4.091 0.000
0.000 0.000 8.362
Ac Tl Ru
10 4 4
direct
0.000 0.000 0.000 Ac
0.049 0.723 0.664 Ac
0.223 0.549 0.164 Ac
0.277 0.951 0.664 Ac
0.451 0.777 0.164 Ac
0.500 0.500 0.500 Ac
0.549 0.223 0.836 Ac
0.723 0.049 0.336 Ac
0.777 0.451 0.836 Ac
0.951 0.277 0.336 Ac
0.217 0.217 0.000 Tl
0.283 0.283 0.500 Tl
0.717 0.717 0.500 Tl
0.783 0.783 0.000 Tl
0.136 0.864 0.363 Ru
0.364 0.636 0.863 Ru
0.636 0.364 0.137 Ru
0.864 0.136 0.637 Ru
```

Most intense lines, 15° ≤ 2θ ≤ 90°, by angle:
- 2θ = 29.61°, intensity 70
- 2θ = 29.84°, intensity 85
- 2θ = 29.96°, intensity 66
- 2θ = 30.57°, intensity 57
- 2θ = 31.85°, intensity 100
- 2θ = 34.38°, intensity 73
- 2θ = 34.98°, intensity 68
- 2θ = 35.27°, intensity 67

***

For TlH6I3, a DFT-relaxed cell (PBE, Alexandria) gives the calculated powder diffraction line list in this record (CuKα).
Kinematic intensities with the Lorentz-polarization factor, no thermal factor.

```
TlH6I3
1.0
6.165 3.560 4.579
-6.165 3.560 4.579
0.000 -7.119 4.579
Tl H I
2 12 6
direct
0.000 0.000 0.000 Tl
0.500 0.500 0.500 Tl
0.081 0.856 0.833 H
0.144 0.167 0.919 H
0.167 0.919 0.144 H
0.333 0.356 0.581 H
0.356 0.581 0.333 H
0.419 0.667 0.644 H
0.581 0.333 0.356 H
0.644 0.419 0.667 H
0.667 0.644 0.419 H
0.833 0.081 0.856 H
0.856 0.833 0.081 H
0.919 0.144 0.167 H
0.225 0.275 0.750 I
0.250 0.775 0.725 I
0.275 0.750 0.225 I
0.725 0.250 0.775 I
0.750 0.225 0.275 I
0.775 0.725 0.250 I
```

Most intense lines, 15° ≤ 2θ ≤ 90°, by angle:
- 2θ = 15.34°, intensity 100
- 2θ = 25.60°, intensity 56
- 2θ = 28.96°, intensity 59
- 2θ = 30.95°, intensity 63
- 2θ = 32.93°, intensity 31
- 2θ = 42.10°, intensity 16
- 2θ = 42.91°, intensity 19
- 2θ = 52.60°, intensity 20

***

For PmNd12Er6, a DFT-relaxed cell (PBE, Alexandria) gives the calculated powder diffraction line list in this record (CuKα).
Kinematic intensities with the Lorentz-polarization factor, no thermal factor.

```
PmNd12Er6
1.0
-5.457 5.457 5.457
-- stop --
Solution:
For CaPd12, a DFT-relaxed cell (PBE, Alexandria) gives the calculated powder diffraction line list in this record (CuKα).
Kinematic intensities with the Lorentz-polarization factor, no thermal factor.

```
CaPd12
1.0
0.000 5.367 5.367
5.367 0.000 5.367
5.367 5.367 0.000
Ca Pd
1 12
direct
0.000 0.000 0.000 Ca
0.162 0.500 0.500 Pd
0.162 0.500 0.838 Pd
0.162 0.838 0.500 Pd
0.500 0.162 0.500 Pd
0.500 0.162 0.838 Pd
0.500 0.500 0.162 Pd
0.500 0.500 0.838 Pd
0.500 0.838 0.162 Pd
0.500 0.838 0.500 Pd
0.838 0.162 0.500 Pd
0.838 0.500 0.162 Pd
0.838 0.500 0.500 Pd
```

Most intense lines, 15° ≤ 2θ ≤ 90°, by angle:
- 2θ = 23.44°, intensity 38
- 2θ = 27.56°, intensity 76
- 2θ = 28.81°, intensity 28
- 2θ = 41.20°, intensity 26
- 2θ = 43.83°, intensity 100
- 2θ = 50.29°, intensity 31
- 2θ = 51.05°, intensity 57
- 2θ = 75.10°, intensity 34

***

For Tl2AgPbBr5, a DFT-relaxed cell (PBE, Alexandria) gives the calculated powder diffraction line list in this record (CuKα).
Kinematic intensities with the Lorentz-polarization factor, no thermal factor.

```
Tl2AgPbBr5
1.0
2.243 -9.714 0.000
2.243 9.714 0.000
0.000 0.000 14.301
Tl Ag Pb Br
4 2 2 10
direct
0.099 0.901 0.500 Tl
0.128 0.872 0.142 Tl
0.872 0.128 0.642 Tl
0.901 0.099 0.000 Tl
0.456 0.544 0.265 Ag
0.544 0.456 0.765 Ag
0.209 0.791 0.846 Pb
0.791 0.209 0.346 Pb
0.048 0.952 0.869 Br
0.283 0.717 0.493 Br
0.308 0.692 0.200 Br
0.362 0.638 0.826 Br
0.493 0.507 0.594 Br
0.507 0.493 0.094 Br
0.638 0.362 0.326 Br
0.692 0.308 0.700 Br
0.717 0.283 0.993 Br
0.952 0.048 0.369 Br
```

Most intense lines, 15° ≤ 2θ ≤ 90°, by angle:
- 2θ = 20.76°, intensity 33
- 2θ = 23.86°, intensity 17
- 2θ = 27.69°, intensity 100
- 2θ = 28.26°, intensity 51
- 2θ = 32.97°, intensity 41
- 2θ = 40.22°, intensity 41
- 2θ = 49.87°, intensity 21
- 2θ = 62.17°, intensity 14

***

For Ac5Tl2Ru2, a DFT-relaxed cell (PBE, Alexandria) gives the calculated powder diffraction line list in this record (CuKα).
Kinematic intensities with the Lorentz-polarization factor, no thermal factor.

```
Ac5Tl2Ru2
1.0
8.715 -4.091 0.000
8.715 4.091 0.000
0.000 0.000 8.362
Ac Tl Ru
10 4 4
direct
0.000 0.000 0.000 Ac
0.049 0.723 0.664 Ac
0.223 0.549 0.164 Ac
0.277 0.951 0.664 Ac
0.451 0.777 0.164 Ac
0.500 0.500 0.500 Ac
0.549 0.223 0.836 Ac
0.723 0.049 0.336 Ac
0.777 0.451 0.836 Ac
0.951 0.277 0.336 Ac
0.217 0.217 0.000 Tl
0.283 0.283 0.500 Tl
0.717 0.717 0.500 Tl
0.783 0.783 0.000 Tl
0.136 0.864 0.363 Ru
0.364 0.636 0.863 Ru
0.636 0.364 0.137 Ru
0.864 0.136 0.637 Ru
```

Most intense lines, 15° ≤ 2θ ≤ 90°, by angle:
- 2θ = 29.61°, intensity 70
- 2θ = 29.84°, intensity 85
- 2θ = 29.96°, intensity 66
- 2θ = 30.57°, intensity 57
- 2θ = 31.85°, intensity 100
- 2θ = 34.38°, intensity 73
- 2θ = 34.98°, intensity 68
- 2θ = 35.27°, intensity 67

***

For TlH6I3, a DFT-relaxed cell (PBE, Alexandria) gives the calculated powder diffraction line list in this record (CuKα).
Kinematic intensities with the Lorentz-polarization factor, no thermal factor.

```
TlH6I3
1.0
6.165 3.560 4.579
-6.165 3.560 4.579
0.000 -7.119 4.579
Tl H I
2 12 6
direct
0.000 0.000 0.000 Tl
0.500 0.500 0.500 Tl
0.081 0.856 0.833 H
0.144 0.167 0.919 H
0.167 0.919 0.144 H
0.333 0.356 0.581 H
0.356 0.581 0.333 H
0.419 0.667 0.644 H
0.581 0.333 0.356 H
0.644 0.419 0.667 H
0.667 0.644 0.419 H
0.833 0.081 0.856 H
0.856 0.833 0.081 H
0.919 0.144 0.167 H
0.225 0.275 0.750 I
0.250 0.775 0.725 I
0.275 0.750 0.225 I
0.725 0.250 0.775 I
0.750 0.225 0.275 I
0.775 0.725 0.250 I
```

Most intense lines, 15° ≤ 2θ ≤ 90°, by angle:
- 2θ = 15.34°, intensity 100
- 2θ = 25.60°, intensity 56
- 2θ = 28.96°, intensity 59
- 2θ = 30.95°, intensity 63
- 2θ = 32.93°, intensity 31
- 2θ = 42.10°, intensity 16
- 2θ = 42.91°, intensity 19
- 2θ = 52.60°, intensity 20

***

For PmNd12Er6, a DFT-relaxed cell (PBE, Alexandria) gives the calculated powder diffraction line list in this record (CuKα).
Kinematic intensities with the Lorentz-polarization factor, no thermal factor.

```
PmNd12Er6
1.0
-5.457 5.457 5.457